'''
Starting from the GGA-PBE geometry in the Materials Project, the powder diffractogram of Pa3Al was calculated for Cu Ka.
No peak broadening, texture or thermal motion is included.

Main lines, by intensity (5° ≤ 2θ ≤ 70°):
| Position (°2θ) | d_spacing | I (rel.) |
| --- | --- | --- |
| 34.31 | 2.614 | 100 |
| 39.82 | 2.264 | 50 |
| 68.77 | 1.365 | 42 |
| 57.58 | 1.601 | 35 |
| 19.61 | 4.528 | 23 |
| 27.87 | 3.201 | 20 |
| 44.76 | 2.025 | 12 |
| 49.30 | 1.848 | 9 |
| 61.44 | 1.509 | 6 |
| 65.16 | 1.432 | 4 |

Unit cell a=4.5276 b=4.5276 c=4.5276 alpha=90.00 beta=90.00 gamma=90.00
Element x y z (fractional)
Pa 0.0000 0.0000 0.5000
Pa 0.0000 0.5000 0.0000
Pa 0.5000 0.0000 0.0000
Al 0.5000 0.5000 0.5000

=====

Starting from the GGA-PBE geometry in the Materials Project, the powder diffractogram of Rb2Mn3S4 was calculated for Cu Ka.
No peak broadening, texture or thermal motion is included.

Main lines, by intensity (5° ≤ 2θ ≤ 70°):
| Position (°2θ) | d_spacing | I (rel.) |
| --- | --- | --- |
| 28.97 | 3.082 | 100 |
| 32.18 | 2.781 | 38 |
| 43.46 | 2.082 | 33 |
| 33.98 | 2.638 | 28 |
| 49.82 | 1.830 | 22 |
| 51.09 | 1.788 | 21 |
| 25.92 | 3.438 | 20 |
| 22.30 | 3.986 | 19 |
| 39.26 | 2.295 | 15 |
| 51.84 | 1.764 | 15 |
| 54.29 | 1.690 | 14 |
| 51.29 | 1.781 | 11 |

Unit cell a=9.4431 b=9.4431 c=9.4431 alpha=142.42 beta=105.52 gamma=86.55
Element x y z (fractional)
Rb 0.1215 0.2369 0.3583
Rb 0.3785 0.7369 0.1154
Rb 0.6215 0.2631 0.8846
Rb 0.8785 0.7631 0.6417
Mn 0.0256 0.2500 0.7756
Mn 0.2500 0.7500 0.5000
Mn 0.4744 0.2500 0.2244
Mn 0.5256 0.7500 0.7756
Mn 0.7500 0.2500 0.5000
Mn 0.9744 0.7500 0.2244
S 0.0169 0.4334 0.1476
S 0.2143 0.0666 0.5836
S 0.2857 0.8693 0.8524
S 0.4831 0.6307 0.4164
S 0.5169 0.3693 0.5836
S 0.7143 0.1307 0.1476
S 0.7857 0.9334 0.4164
S 0.9831 0.5666 0.8524

=====

Starting from a crystal structure in the Materials Project, relaxed with PBE, the powder diffraction line list of Sr3TiSi4O15 was computed for a wavelength of 1.5418 Å.
Kinematic intensities with the Lorentz-polarization factor, no thermal factor.

Structure:
```
Sr3TiSi4O15
1.0
7.820 0.000 0.000
0.000 7.703 0.000
-2.592 0.000 10.941
Sr Ti Si O
6 2 8 30
direct
0.104 0.250 0.241
0.145 0.750 0.394
0.208 0.250 0.912
0.792 0.750 0.088
0.855 0.250 0.606
0.896 0.750 0.759
0.500 0.000 0.500
0.500 0.500 0.500
0.244 0.539 0.700
0.244 0.961 0.700
0.375 0.546 0.198
0.375 0.954 0.198
0.625 0.046 0.802
0.625 0.454 0.802
0.756 0.039 0.300
0.756 0.461 0.300
0.069 0.042 0.730
0.069 0.458 0.730
0.070 0.750 0.000
0.096 0.250 0.478
0.237 0.750 0.726
0.249 0.062 0.091
0.249 0.438 0.091
0.274 0.510 0.561
0.274 0.990 0.561
0.309 0.750 0.191
0.354 0.027 0.331
0.354 0.473 0.331
0.413 0.044 0.804
0.413 0.456 0.804
0.480 0.750 0.480
0.520 0.250 0.520
0.587 0.544 0.196
0.587 0.956 0.196
0.646 0.527 0.669
0.646 0.973 0.669
0.691 0.250 0.809
0.726 0.010 0.439
0.726 0.490 0.439
0.751 0.562 0.909
0.751 0.938 0.909
0.763 0.250 0.274
0.904 0.750 0.522
0.930 0.250 0.000
0.931 0.542 0.270
0.931 0.958 0.270
```

Top 12 peaks for 10° ≤ 2θ ≤ 90°, sorted by position:
2theta	Rel. int.	hkl
19.45	85	1 1 1
25.93	100	1 2 0
27.06	81	0 1 3
27.81	30	2 1 -2
29.22	44	1 2 -2
31.75	32	1 1 3
32.01	31	2 1 -3
32.16	39	1 2 2
34.44	43	3 0 -1
35.43	49	2 2 1
43.09	42	0 3 3
47.20	40	0 4 0
'''
Next, find the line further above that holds "0.2857 0.8693", then repeat that line and all lines after it there.
S 0.2857 0.8693 0.8524
S 0.4831 0.6307 0.4164
S 0.5169 0.3693 0.5836
S 0.7143 0.1307 0.1476
S 0.7857 0.9334 0.4164
S 0.9831 0.5666 0.8524

=====

Starting from a crystal structure in the Materials Project, relaxed with PBE, the powder diffraction line list of Sr3TiSi4O15 was computed for a wavelength of 1.5418 Å.
Kinematic intensities with the Lorentz-polarization factor, no thermal factor.

Structure:
```
Sr3TiSi4O15
1.0
7.820 0.000 0.000
0.000 7.703 0.000
-2.592 0.000 10.941
Sr Ti Si O
6 2 8 30
direct
0.104 0.250 0.241
0.145 0.750 0.394
0.208 0.250 0.912
0.792 0.750 0.088
0.855 0.250 0.606
0.896 0.750 0.759
0.500 0.000 0.500
0.500 0.500 0.500
0.244 0.539 0.700
0.244 0.961 0.700
0.375 0.546 0.198
0.375 0.954 0.198
0.625 0.046 0.802
0.625 0.454 0.802
0.756 0.039 0.300
0.756 0.461 0.300
0.069 0.042 0.730
0.069 0.458 0.730
0.070 0.750 0.000
0.096 0.250 0.478
0.237 0.750 0.726
0.249 0.062 0.091
0.249 0.438 0.091
0.274 0.510 0.561
0.274 0.990 0.561
0.309 0.750 0.191
0.354 0.027 0.331
0.354 0.473 0.331
0.413 0.044 0.804
0.413 0.456 0.804
0.480 0.750 0.480
0.520 0.250 0.520
0.587 0.544 0.196
0.587 0.956 0.196
0.646 0.527 0.669
0.646 0.973 0.669
0.691 0.250 0.809
0.726 0.010 0.439
0.726 0.490 0.439
0.751 0.562 0.909
0.751 0.938 0.909
0.763 0.250 0.274
0.904 0.750 0.522
0.930 0.250 0.000
0.931 0.542 0.270
0.931 0.958 0.270
```

Top 12 peaks for 10° ≤ 2θ ≤ 90°, sorted by position:
2theta	Rel. int.	hkl
19.45	85	1 1 1
25.93	100	1 2 0
27.06	81	0 1 3
27.81	30	2 1 -2
29.22	44	1 2 -2
31.75	32	1 1 3
32.01	31	2 1 -3
32.16	39	1 2 2
34.44	43	3 0 -1
35.43	49	2 2 1
43.09	42	0 3 3
47.20	40	0 4 0